Justice Ramachandra Rao belongs to a highly reputed family and lives with his mother, Shanthamma, and younger brother Venu, a law student. Janaki is an illiterate callow who aims to mold her younger sister, Vijaya, into an advocate. Fortunately, Venu & Vijaya are collegians and turtle doves. Once Ramachandra Rao spots Janaki and likes her. Janaki crosses many hurdles, toils hard, and successfully establishes Vijaya as a lawyer. Soon after, Dharmaiah, Ramachandra Rao's clerk, also a well-wisher of Janaki, fixes their alliance. Knowing it, Venu & Vijaya are overjoyed and go out for a ride, where Vijaya witnesses the murder of a girl, Shobha. On the wedding day, Vijaya is shocked to see Ramachandra Rao as he is the perpetrator of the homicide she saw and pleads with Janaki to stop it. Venu overhears, contradicts her allegation, and challenges her that he will prove his brother innocent. Nevertheless, Janaki marries Ramachandra Rao, and they lead a happy life. Ramachandra Rao, however, senses something is wrong and becomes suspicious of Vijaya, but remains nonchalant. Dharmaiah's son, Bhanu, is charged with the crime of killing Shobha. Vijaya takes up the case and Janaki blesses her to stand for righteousness. In court, where Ramachandra Rao is the judge, Vijaya declares Ramachandra Rao is a muederer, which creates a lot of turmoil, and Ramachandra Rao is arrested. The case goes into sessions where Venu appears as the defense counsel, and both give a tough fight.
Bhanu's girlfriend Saroja, who is Vijaya's friend, tries to help Vijaya in the case. She goes to Shobha's sister Asha's house, where she sees Ramachandra Rao's face and is shocked. She escapes but he hits her with his car and takes her to her house to kill her. The maid calls Vijaya and Vijaya sees the struggle and takes a photo for evidence, which strengthens her case in court.
Someone pasted data records at this point.
********
Entry 1:
Computed XRD peak list of Li4Cr3CoO8 for Cu Ka, from a DFT-relaxed cell (PBE+U, the Materials Project).
Lines closer than 0.1° are merged.

Atomic structure:
```
data_Li4Cr3CoO8
_chemical_formula_sum 'Li8 Cr6 Co2 O16'
_cell_length_a 5.1302
_cell_length_b 5.9369
_cell_length_c 9.8348
_cell_angle_alpha 89.42
_cell_angle_beta 79.35
_cell_angle_gamma 89.70
_symmetry_space_group_name_H-M 'P -1'
_symmetry_Int_Tables_number 2
loop_
_symmetry_equiv_pos_as_xyz
'x,y,z'
'-x,-y,-z'
loop_
_atom_site_label
_atom_site_fract_x
_atom_site_fract_y
_atom_site_fract_z
Li1 0.0001 0.2501 0.0007
Li2 0.2431 0.0041 0.7504
Li3 0.2562 0.4958 0.7521
Li4 0.4962 0.2497 0.5020
Cr1 0.0000 0.5000 0.5000
Cr2 0.2462 0.7482 0.2510
Cr3 0.2504 0.2470 0.2512
Cr4 0.5000 0.0000 0.0000
Co1 0.0000 0.0000 0.5000
Co2 0.5000 0.5000 0.0000
O1 0.1033 0.7584 0.6156
O2 0.1113 0.2623 0.6259
O3 0.1443 0.0009 0.1307
O4 0.1512 0.4996 0.1269
O5 0.3429 0.9964 0.3749
O6 0.3544 0.4961 0.3697
O7 0.3921 0.7561 0.8769
O8 0.3945 0.2491 0.8781
```

Largest 12 diffraction maxima, by intensity, 10 to 90 degrees two-theta:
(1 0 1), 2θ = 18.28°, I 100
(1 2 3), 2θ = 42.80°, I 27
(1 -2 3), 2θ = 43.28°, I 26
(2 0 -2), 2θ = 43.45°, I 26
(0 2 2), 2θ = 35.34°, I 14
(0 4 0), 2θ = 62.57°, I 14
(0 2 -2), 2θ = 35.64°, I 13
(1 0 -3), 2θ = 35.74°, I 13
(-1 2 1), 2θ = 37.20°, I 12
(-1 2 5), 2θ = 62.71°, I 7
(1 2 -5), 2θ = 63.14°, I 7
(2 0 6), 2θ = 62.42°, I 7



Entry 2:
Computed XRD peak list of Li4Cr3CoO8 for Cu Ka, from a DFT-relaxed cell (PBE+U, the Materials Project).
Lines closer than 0.1° are merged.

Atomic structure:
```
data_Li4Cr3CoO8
_chemical_formula_sum 'Li8 Cr6 Co2 O16'
_cell_length_a 5.1041
_cell_length_b 7.7394
_cell_length_c 7.7583
_cell_angle_alpha 81.86
_cell_angle_beta 83.81
_cell_angle_gamma 71.01
_symmetry_space_group_name_H-M 'P -1'
_symmetry_Int_Tables_number 2
loop_
_symmetry_equiv_pos_as_xyz
'x,y,z'
'-x,-y,-z'
loop_
_atom_site_label
_atom_site_fract_x
_atom_site_fract_y
_atom_site_fract_z
Li1 0.0000 0.0000 0.0000
Li2 0.0000 0.5000 0.5000
Li3 0.0021 0.2490 0.2510
Li4 0.0018 0.3750 0.8741
Li5 0.0016 0.8756 0.3707
Cr1 0.5000 0.1853 0.4382
Cr2 0.5000 0.3084 0.0621
Cr3 0.4996 0.4355 0.6886
Co1 0.5001 0.0618 0.8140
O1 0.2729 0.4010 0.2803
O2 0.2725 0.5271 0.9061
O3 0.2726 0.6518 0.5305
O4 0.2758 0.0249 0.3998
O5 0.2760 0.2709 0.6593
O6 0.2770 0.7810 0.1554
O7 0.2772 0.9058 0.7804
O8 0.2814 0.1432 0.0286
```

Largest 12 diffraction maxima, by intensity, 10 to 90 degrees two-theta:
(1 0 0), 2θ = 18.42°, I 100
(2 3 1), 2θ = 43.60°, I 78
(0 2 -2), 2θ = 35.92°, I 27
(1 4 4), 2θ = 63.57°, I 14
(-2 1 3), 2θ = 57.57°, I 14
(3 1 3), 2θ = 63.22°, I 14
(1 3 1), 2θ = 35.99°, I 13
(2 1 3), 2θ = 47.71°, I 12
(0 3 1), 2θ = 37.58°, I 12
(0 4 4), 2θ = 66.81°, I 9
(0 1 -5), 2θ = 63.43°, I 7
(3 2 -2), 2θ = 63.17°, I 7



Entry 3:
Computed XRD peak list of Li4Cr3CoO8 for Cu Ka, from a DFT-relaxed cell (PBE+U, the Materials Project).
Lines closer than 0.1° are merged.

Atomic structure:
```
data_Li4Cr3CoO8
********
Meanwhile, Ramachandra Rao is set free on bail. One day, Janaki, Shanthamma, and Vijaya find Ramachandra Rao stealing money from a cabinet and hinder him, but he casts them. Venu spots him leaving, confirms him as Ramachandra Rao's look-like and chases him. Then, the original Ramachandra Rao reaches home, and everyone accuses him and passes their statement to the judiciary. Devastated, at the final hearing, Ramachandra Rao becomes demoralized and affirms himself to be guilty. At that moment, Venu comes with the actual offender, Raju, when Shanthamma realizes he is Ramachandra Rao's twin brother and starts narrating the past. Years ago, Ramachandra Rao's father, a judge, gave the death penalty to a criminal. To seek vengeance, his father, Papaiah, stole one of their two babies and carved him into a criminal. Shantamma also reveals that, in order to avoid distress of a lost baby, Dharmaiah brought a different baby from an orphanage and Shantamma raised him, who grew up to be Venu. Papaiah confesses in court that he had Raju commit many crimes to frame Ramachandra Rao and ruin his reputation. He also had Raju kill Shobha because she threatened to expose them.
Knowing it, Raju repents and admits his crime. At last, Ramachandra Rao is acquitted, Raju is sentenced to a short-term penalty, and Vijaya pleads for a pardon. Finally, the movie ends on a happy note with the marriage of Venu & Vijaya.